This is a review of “The Toarcian Oceanic Anoxic Event in the South Iberian Palaeomargin” edited by Reolid, Molina, Nieto, and Rodriguez-Tovar (2018). The special publications, SpringerBriefs in Earth Sciences, are always a pleasure to read and this beautifully-produced book is a delight for researchers interested in the study of major biological and environmental crises. The book deals with one of the most important events of the Lower Jurassic, the Toarcian Oceanic Anoxic Event (T-OAE) which is documented in Jurassic outcrops of the Chain of the Betic Range (Reolid et al. 2018). On over 100 pages, the authors illustrate a very important area of Spain from a geological, palaeontological, and stratigraphical point of view.

The technical details of the work are as follows: the organization of the volume is clear and subdivided into five chapters, each of them with their own reference list. The bibliography is abundant (263 titles) and the book contains fifty-two excellent illustrations, which are very useful, accurate, and often colorful.

The first chapter introduces the reader to the state of art about the main topic of the volume: the boundary between the Pliensbachian and Toarcian stages and the Toarcian Anoxic Event.

The second chapter shows the geological constraints of the Betic chain in both the Subbetic and Prebetic domains. A description of several stratigraphic sections of the Subbetic domain is given. The discussion about the Spanish Toarcian events covers two sections of the Subbetics: a median and an external one, in a setting of PCP (Pelagic Carbonate Platform, sensu Santantonio 1994) palaeogeographic evolution of a rift margin of the Mediterranean Tethys.

Moreover, a biostratigraphic correlation based on ammonites is given, which have been found in all of the studied outcrops and their presence permits to correlate the outcrops with coeval ones in the Mediterranean–Tethys domain (Cecca et al. 1991).

The median section is characterized by a basin-type succession on a deep area of the pelagic platform, where the stratigraphic sequence is thicker and the sediments are often reworked. The external section is characterized by a so-called high structure, a portion of the shallower pelagic platforms on which the succession is less thick and often lacunose.

The third and fourth chapters describe in detail about the important outcrops and sequences that compose the studied sections, describing their stratigraphy, lithology, geochemistry, and palaeontology. The palaeontology of trace fossils and microfossils is studied in detail. As the trace fossils represent remains of the living assemblage at the sea bottom during the Toarcian stage and record the variation in the ocean parameters before, during and after the anoxic event, their study may give important information on when the depletion in oxygen started and the return to normality occurred. In the fifth and last chapter, the conclusions about the completeness and importance of the boundary between the Pliensbachian and Toarcian stages and, mainly about the T-OAE sequence are given.

The book by Reolid et al. is very interesting and represents an important contribution to the study of the Pliensbachian–Toarcian boundary and the T-OAE. The described successions are very similar to coeval ones (Centamore et al. 1971; Cresta et al. 1989) in the Apennines in Central Italy. Together with an analog structural model, the same stratigraphic succession suggests that in every place of the Tethys–Mediterranean domain, the geological setting was the same, with only local and minor lateral variations.

We enjoyed reading all the chapters and only some minor comments are needed: the authors used terms such as Domerian (e.g., pages 7, 10, and 15) and Carixian (e.g., page 10) to sub-divide the Pliensbachian and the Middle Toarcian (e.g., pages 18 and 23), but actually these terms have not yet been officially accepted (Gradstein et al. 2004, 2012). The age of T-OAE was recently confirmed at 181.7 Ma by Satolli et al. (2018). On page 19, the term “palynspastic restitutions” should read “Palinspastic restorations” or “Palinspastic reconstructions”. Finally, a detailed subject index at the end of the book is missing, which could help when looking for a keyword in T-OAE.

Palaeontological considerations

To define the beginning of the Toarcian and the T-OAE, Reolid et al. (2018) describe several stratigraphic sections: some of the external Subbetic chain (Fuente Vildriera, Cueva del Agua, La Cerradura) and some of the Median Subbetic chain (Iznallos, Arroyo Mingarrón). Several kinds of fossils have been found and studied. Each group of fossils has its importance and utility to define where and when a paleoenvironment was developed. Some considerations about two of the studied groups: ammonites for biostratigraphic correlations on the one hand and trace fossils for considerations about infaunal biodiversity and depletion in oxygen on the other hand.

Ammonites and biostratigraphy

Continuous findings of ammonites have permitted the authors to create a biostratigraphic scheme that subdivides the sections based on their palaeontological content. This is the only way to correlate disconnected sections characterized by different lithologies (Di Cencio 2007). Moreover, every section may, thus be correlated with the Biostratigraphic Standard Scheme (Cariou and Hantzpergue 1997; Gradstein et al. 2004, 2012).

A biostratigraphic scheme for the Lower Toarcian is proposed by Reolid et al. The authors subdivide the Lower Toarcian into the Polymorphum and Serpentinus ammonite biozones. The same biostratigraphic succession is proposed for both the external and median Subbetic chains. The use of this biostratigraphic sequence is explained below.

The Polymorphum biozone has been used for the bottom of the Toarcian stage in the Mediterranean ammonite biozonation (Cariou and Hantzpergue 1997; Venturi 1999; Di Cencio 2007). The Serpentinus biozone is the second Toarcian stage zone in the North-European Domain (Cariou and Hantzpergue 1997; Pinard et al. 2014; Weis et al. 2018). The North-European biostratigraphic scale is commonly used as Standard Biostratigraphic Scale (Gradstein et al. 2004), while the Mediterranean scheme has a local application. Both scales show a perfect correlation (Cariou and Hantzpergue 1997). Recently, a new correlation was established between Tethyan and Boreal ammonitic biozonations (Gradstein et al. 2012, p. 764), in which Tethyan ammonite biozonation corresponds to the Standard Biostratigraphic Scale of Gradstein et al. (2004). Reolid et al. use a sort of mixed biozonation with a local validity that is correlated with the standard scheme (Sandoval et al. 2012).

-- Next to the piece, the page also holds calculated crystals --
~~~
1.
# K3Mo2HCO13

A geometry-optimized K3Mo2HCO13 structure (PBE+U, the Materials Project).

Cell lengths 11.6255, 6.2526, 16.6506 Å; angles 90.00, 90.00, 90.00 degrees
With the nearest neighbours (Å) after each atom.
Fractional coordinates of all 80 atoms:
K (0.3960, 0.7531, 0.8505)  8 O 2.81-3.10
K (0.6040, 0.2469, 0.3505)  8 O 2.81-3.10
K (0.1040, 0.7531, 0.3505)  8 O 2.81-3.10
K (0.8960, 0.2469, 0.8505)  8 O 2.81-3.10
K (0.5898, 0.2457, 0.6495)  8 O 2.79-3.12
K (0.4102, 0.7543, 0.1495)  8 O 2.79-3.12
K (0.9102, 0.2457, 0.1495)  8 O 2.79-3.12
K (0.0898, 0.7543, 0.6495)  8 O 2.79-3.12
K (0.4319, 0.7197, 0.4486)  7 O 2.79-3.03
K (0.5681, 0.2803, 0.9486)  7 O 2.79-3.03
K (0.0681, 0.7197, 0.9486)  7 O 2.79-3.03
K (0.9319, 0.2803, 0.4486)  7 O 2.79-3.03
Mo (0.7363, 0.7876, 0.7591)  1 O 1.74
Mo (0.2637, 0.2124, 0.2591)  1 O 1.74
Mo (0.7637, 0.7876, 0.2591)  1 O 1.74
Mo (0.2363, 0.2124, 0.7591)  1 O 1.74
Mo (0.7640, 0.7974, 0.5346)  1 O 1.74
Mo (0.2360, 0.2026, 0.0346)  1 O 1.74
Mo (0.7360, 0.7974, 0.0346)  1 O 1.74
Mo (0.2640, 0.2026, 0.5346)  1 O 1.74
H (0.9099, 0.2498, 0.6545)  1 C 1.11
H (0.0901, 0.7502, 0.1545)  1 C 1.11
H (0.5901, 0.2498, 0.1545)  1 C 1.11
H (0.4099, 0.7502, 0.6545)  1 C 1.11
C (0.8635, 0.4046, 0.6524)  1 H 1.11
C (0.1365, 0.5954, 0.1524)  1 H 1.11
C (0.6365, 0.4046, 0.1524)  1 H 1.11
C (0.3635, 0.5954, 0.6524)  1 H 1.11
O (0.9035, 0.8583, 0.7500)  1 O 1.48
O (0.0965, 0.1417, 0.2500)  1 O 1.48
O (0.5965, 0.8583, 0.2500)  1 O 1.48
O (0.4035, 0.1417, 0.7500)  1 O 1.48
O (0.8762, 0.7564, 0.8280)  1 O 1.48
O (0.1238, 0.2436, 0.3280)  1 O 1.48
O (0.6238, 0.7564, 0.3280)  1 O 1.48
O (0.3762, 0.2436, 0.8280)  1 O 1.48
O (0.6496, 0.5809, 0.8274)  1 O 1.48
O (0.3504, 0.4191, 0.3274)  1 O 1.48
O (0.8504, 0.5809, 0.3274)  1 O 1.48
O (0.1496, 0.4191, 0.8274)  1 O 1.48
O (0.5912, 0.6161, 0.7498)  1 O 1.48
O (0.4088, 0.3839, 0.2498)  1 O 1.48
O (0.9088, 0.6161, 0.2498)  1 O 1.48
O (0.0912, 0.3839, 0.7498)  1 O 1.48
O (0.6441, 0.5679, 0.5348)  1 O 1.47
O (0.3559, 0.4321, 0.0348)  1 O 1.47
O (0.8559, 0.5679, 0.0348)  1 O 1.47
O (0.1441, 0.4321, 0.5348)  1 O 1.47
O (0.7186, 0.5559, 0.4633)  1 O 1.47
O (0.2814, 0.4441, 0.9633)  1 O 1.47
O (0.7814, 0.5559, 0.9633)  1 O 1.47
O (0.2186, 0.4441, 0.4633)  1 O 1.47
O (0.9127, 0.8224, 0.4751)  1 O 1.48
O (0.0873, 0.1776, 0.9751)  1 O 1.48
O (0.5873, 0.8224, 0.9751)  1 O 1.48
O (0.4127, 0.1776, 0.4751)  1 O 1.48
O (0.9179, 0.9331, 0.5537)  1 O 1.48
O (0.0821, 0.0669, 0.0537)  1 O 1.48
O (0.5821, 0.9331, 0.0537)  1 O 1.48
O (0.4179, 0.0669, 0.5537)  1 O 1.48
O (0.6836, 0.0271, 0.7976)  1 Mo 1.74
O (0.3164, 0.9729, 0.2976)  1 Mo 1.74
O (0.8164, 0.0271, 0.2976)  1 Mo 1.74
O (0.1836, 0.9729, 0.7976)  1 Mo 1.74
O (0.7212, 0.8613, 0.6455)  2 Mo 1.95
O (0.2788, 0.1387, 0.1455)  2 Mo 1.95
O (0.7788, 0.8613, 0.1455)  2 Mo 1.95
O (0.2212, 0.1387, 0.6455)  2 Mo 1.95
O (0.6916, 0.0103, 0.4905)  1 Mo 1.74
O (0.3084, 0.9897, 0.9905)  1 Mo 1.74
O (0.8084, 0.0103, 0.9905)  1 Mo 1.74
~~~
-- The calculated crystals stop here --

Trace fossils and palaeobiodiversity of the Toarcian sea bottom

In every studied section, on both Subbetic sections described, several ichnogenera have been recognized and are described. They show a large variation in size and they are over-imposed on each other, indicating a very important palaeobiodiversity inside the infaunal community. Often trace fossils are connected with hummocky cross stratification (HCS) and they are observable on the lower side of turbiditic layers. In other case, trace fossils are recognizable inside the entire thickness of strata. In some sections, they disappear in correspondence with the T-OAE interval, then they gradually re-occur, maybe when the paleoenvironmental conditions (oxygen content) permitted the life to recover. We have chosen this palaeontological association to underline the palaeobiological crisis and the revolution, which affected the sea bottom in the Lower Toarcian during the anoxic event.


This comprehensive book constitutes an up-to-date reference and a great deal of knowledge with regard to its academic style and very rich content for researchers who work on or who are interested in the Toarcian transgression and T-OAE. It is an attractive book in an attractive series. Having already made this book a “go-to” in our own research, we expect that this book will remain a standard for palaeontologists working on the Jurassic (especially for the Toarcian Oceanic Anoxic Event, T-OAE) for many years to come.

Book chapters and authors

  1. 1.


Matias Reolid, José Miguel Molina, Luis Miguel Nieto, & Francisco Javier Rodriguez-Tovar

  1. 2.

    The betic external zones

Matias Reolid, José Miguel Molina, Luis Miguel Nieto, & Francisco Javier Rodriguez-Tovar

  1. 3.

    External subbetic outcrops

Unrelated to this entry: materials data =
┌──
1.
Compound: CaLuHg2
Source: Materials Project
Functional: r2SCAN
Structure: optimized geometry

Structure (CIF):
```
data_CaLuHg2
_cell_length_a 5.1863
_cell_length_b 5.1863
_cell_length_c 5.1863
_cell_angle_alpha 60.00
_cell_angle_beta 60.00
_cell_angle_gamma 60.00
_symmetry_space_group_name_H-M 'P 1'
_symmetry_Int_Tables_number 1
loop_
_symmetry_equiv_pos_as_xyz
'x,y,z'
loop_
_atom_site_label
_atom_site_type_symbol
_atom_site_fract_x
_atom_site_fract_y
_atom_site_fract_z
Ca1 Ca 0.0000 0.0000 0.0000
Lu1 Lu 0.5000 0.5000 0.5000
Hg1 Hg 0.2500 0.2500 0.2500
Hg2 Hg 0.7500 0.7500 0.7500
```

Crystal system ... cubic
M_tot ... 0.000 μB/f.u.
Energy ... -36.527 eV per atom
E_form ... -54.3 kJ/mol of atoms


2.
Compound: CaNdHg2
Source: Materials Project
Functional: r2SCAN
Structure: optimized geometry

Structure (CIF):
```
data_CaNdHg2
_cell_length_a 5.3525
_cell_length_b 5.3525
_cell_length_c 5.3525
_cell_angle_alpha 60.00
_cell_angle_beta 60.00
_cell_angle_gamma 60.00
_symmetry_space_group_name_H-M 'P 1'
_symmetry_Int_Tables_number 1
loop_
_symmetry_equiv_pos_as_xyz
'x,y,z'
loop_
_atom_site_label
_atom_site_type_symbol
_atom_site_fract_x
_atom_site_fract_y
_atom_site_fract_z
Ca1 Ca 0.0000 0.0000 0.0000
Nd1 Nd 0.5000 0.5000 0.5000
Hg1 Hg 0.2500 0.2500 0.2500
Hg2 Hg 0.7500 0.7500 0.7500
```

Crystal system ... cubic
M_tot ... 0.000 μB/f.u.
Energy ... -34.417 eV per atom
E_form ... -59.7 kJ/mol of atoms


3.
Compound: CaHgO2
Source: Materials Project
Functional: r2SCAN
Structure: optimized geometry

Structure (CIF):
```
data_CaHgO2
_cell_length_a 6.5952
_cell_length_b 6.5952
_cell_length_c 6.5952
_cell_angle_alpha 31.58
_cell_angle_beta 31.58
_cell_angle_gamma 31.58
_symmetry_space_group_name_H-M 'P 1'
_symmetry_Int_Tables_number 1
loop_
_symmetry_equiv_pos_as_xyz
'x,y,z'
loop_
_atom_site_label
_atom_site_type_symbol
_atom_site_fract_x
_atom_site_fract_y
_atom_site_fract_z
Ca1 Ca 0.0000 0.0000 0.0000
Hg1 Hg 0.5000 0.5000 0.5000
O1 O 0.3943 0.3943 0.3943
O2 O 0.6057 0.6057 0.6057
```

Crystal system ... trigonal
M_tot ... 0.000 μB/f.u.
Energy ... -18.983 eV per atom
E_form ... -182.9 kJ/mol of atoms
└──

Matias Reolid, José Miguel Molina, Luis Miguel Nieto, & Francisco Javier Rodriguez-Tovar

  1. 4.

    Median subbetic outcrops

Matias Reolid, José Miguel Molina, Luis Miguel Nieto, & Francisco Javier Rodriguez-Tovar

  1. 5.

    General conclusions

Matias Reolid, José Miguel Molina, Luis Miguel Nieto, & Francisco Javier Rodriguez-Tovar